Our story is a story of an organization achieving success thanks to persistently keeping to our chosen path, adhering to our shared values and thorough consideration of our further steps.
The story of VIA IURIS is also the story of courage and vision.
In 1993, Juraj Zamkovsky, Pavol Zilincik and Pavol Misiga founded the organization Centre for Environmental Public Advocacy – CEPA, first in Bratislava, later since 1994 in Banska Bystrica and Ponicka Huta. Our original objective was to support a wide range of citizen initatives and organizations, which fought for fairness and voice of citizens in state decision-making and in key matters of public life on the local level.
The Centre aimed to assist these initiatives in several areas, from efficient organizing and strategic planning to law and legislation. The leitmotif of these activities is best captured by the expression „citizen participation in decision-making“. At the beginning of the nineties, this phenomenon was new for the citizens, as well as for public institutions, which were not at all ready for this new aspect of policy-making.
„The inhabitants will be allowed to spend the rest of their lives in the locality… Any construction works, which would lead to higher valuation in their purchase by the state, are forbidden.“ Documents from permit procedures of dams Tichy Potok and Dubakovo.
In the nineties, our most distinct activities were related to assisting the municipalities and people existentially threatened by the planned construction of dams. Mojsova Lucka, Dubakovo, Slatinka, Tichy Potok, Olsavica, Torysky and other municipalities were progressing towards their end, absolutely incapable to face illegal and unconstitutional steps of state and investors. The state power acted in these cases in the manner well known from the communist era.
Drastic restriction of the rights of whole municipal areas and their inhabitants lead to the elimination of any resistance and to very easy and cheap buying up of private properties for state investment projects. In these cases, we provided legal assistance to the citizens of the threatened municipalities, including countless personal meetings, consultancies, legal analyses and participation in negotiations with the investors. Finally, submitting appeals and lawsuits in reaction to unlawful steps of state institutions also became part of our „repertoire“.
Our endeavours lead to increased compensations of loss for people’s personal property in some cases, but even more was achieved in in some. People grew from the position the defenceless and clueless to the position of equal partners, who were able to significantly change the plans of the state and its powerful players.
After 1997, we went through significant institutional change by creating two main program areas: Towards sustainable economy and Law for public interest. The first was focused on seeking and promoting sustainable economic alternatives; the second was based on the efforts to broaden the possibilities of citizens to influence the decisions that affect their lives.
As both programs grew and their contents and activities gradually became more specific, the situation required further institutional changes, culminating in 2005 and 2006 in creation of the new organization. Economical programme was institutionalized into new NGO Friends of the Earth-CEPA. The legal program transformed in VIA IURIS in 2006.
During its existence, the legal program provided and continues to provide legal assistance in hundreds of cases, consultancies and analyses. Their contents developed in time, reacting to actual needs of the society. Besides providing legal assistance, CEPA and later VIA IURIS organized summer courses for law students in cooperation with NGO Citizen and Democracy.
• Here the page breaks off for calculated crystals:
=====
# 1
Compound: NaMgH3
Source: the Materials Project
Functional: PBE-GGA
Structure: optimized geometry

abc: 5.4420 7.6419 5.3620
angles: 90.00 90.00 90.00
With the nearest neighbours (Å) after each atom.
Space group Pnma (No. 62)
Asymmetric unit:
Na1 0.0304 0.2500 0.0056 x4  4 H 2.29-2.45
Mg1 0.0000 0.0000 0.5000 x4  6 H 1.97
H1 0.0274 0.7500 0.4167 x4  2 Mg 1.97
H2 0.2068 0.5436 0.7948 x8  2 Mg 1.97

## Properties
The value obtained for the MP2020-corrected energy is -2.93 eV per atom.


# 2
Compound: Na2Mg2NiH6
Source: the Materials Project
Functional: PBE-GGA
Structure: optimized geometry

abc: 11.3825 8.4189 5.4077
angles: 90.00 90.00 90.00
With the nearest neighbours (Å) after each atom.
Space group Pnma (No. 62)
Asymmetric unit:
Na1 0.1085 0.2500 0.0472 x4  3 H 2.33-2.57
Na2 0.1685 0.7500 0.0553 x4  6 H 2.32-2.48
Mg1 0.1279 0.5069 0.5602 x8  6 H 1.98-2.21
Ni1 0.0011 0.7500 0.4387 x4  4 H 1.58-1.59
H1 0.0220 0.6009 0.2636 x8  1 Ni 1.59
H2 0.0962 0.7500 0.6518 x4  1 Ni 1.58
H3 0.1311 0.2500 0.4745 x4  1 Ni 1.58
H4 0.2250 0.0061 0.8638 x8  2 Mg 1.98

## Properties
The value obtained for the MP2020-corrected energy is -3.23 eV per atom.


Number 1: energy of formation from the pure elements -308 meV/atom, calculated density 1.50 g/cm³. Number 2: energy of formation from the pure elements -327 meV/atom, calculated density 2.04 g/cm³.

~~~~~

No. 1
# KHfNbBiO6 PBE optimized geometry
# **E**: -7.791 eV per atom
# **Crystal system**: cubic
# **Energy relative to the elements**: -263 kJ per mole of atoms
# **Total magnetic moment**: 0.00 μB/f.u.
# **Space group**: F-43m
data_KHfNbBiO6
_space_group_name_H-M_alt 'P 1'
_space_group_IT_number 1
_cell_length_a 5.810
_cell_length_b 5.810
_cell_length_c 5.810
_cell_angle_alpha 60.00
_cell_angle_beta 60.00
_cell_angle_gamma 60.00
loop_
_space_group_symop_operation_xyz
'x,y,z'
loop_
_atom_site_label
_atom_site_fract_x
_atom_site_fract_y
_atom_site_fract_z
_atom_site_occupancy
K1 0.750 0.750 0.750 1
Hf1 0.000 0.000 0.000 1
Nb1 0.500 0.500 0.500 1
Bi1 0.250 0.250 0.250 1
O1 0.746 0.254 0.254 1
O2 0.254 0.746 0.746 1
O3 0.746 0.254 0.746 1
O4 0.254 0.746 0.254 1
O5 0.746 0.746 0.254 1
O6 0.254 0.254 0.746 1



No. 2
# Cs2GaAgBr6 PBE optimized geometry
# **E**: -2.856 eV per atom
# **Crystal system**: cubic
# **Energy relative to the elements**: -138 kJ per mole of atoms
# **Total magnetic moment**: 0.00 μB/f.u.
# **Space group**: Fm-3m
data_Cs2GaAgBr6
_space_group_name_H-M_alt 'P 1'
_space_group_IT_number 1
_cell_length_a 7.769
_cell_length_b 7.769
_cell_length_c 7.769
_cell_angle_alpha 60.00
_cell_angle_beta 60.00
_cell_angle_gamma 60.00
loop_
_space_group_symop_operation_xyz
'x,y,z'
loop_
_atom_site_label
_atom_site_fract_x
_atom_site_fract_y
_atom_site_fract_z
_atom_site_occupancy
Cs1 0.750 0.750 0.750 1
Cs2 0.250 0.250 0.250 1
Ga1 0.000 0.000 0.000 1
Ag1 0.500 0.500 0.500 1
Br1 0.763 0.237 0.237 1
Br2 0.237 0.237 0.763 1
Br3 0.237 0.763 0.763 1
Br4 0.237 0.763 0.237 1
Br5 0.763 0.237 0.763 1
=====

Since 2000, we find it obvious that success in any legal efforts, in specific cases as well as on the level of legislation, is closely related to the quality of decision-making of courts and judges. Therefore, a significant part of our programme is focusing on the judiciary. We have gradually developed the complex training programmes for the judges in crucial topics, such as freedom of speech, public access to information, constitution in judicial decision-making, but also personal development of the judge.
This lead to creating the cycle of regular expert conferences Access to Justice – Barriers and Solutions. At the beginning, they were focuses on the quality of the court decisions, but gradually we focused more on the personality of the judge. We follow this aspect of the judiciary, from the appointment of judges (by monitoring the selection procedures for judges), through their behaviour (by triggering and advancing the public discussion on judicial ethics, which lead to adopting the new Code of Conduct of Judges), to their accountability (by monitoring the disciplinary proceedings in judiciary and forming the proposals for legislative changes).
Our work on the problem of the state capture and its impunity leads to our closer interest in the functioning of the police and the public prosecution. These are the institutions, which most often fail in holding businesses, individuals and public officials accountable for corruption and alike actions. With three other NGOs, we have formed the coalition Jingling for the Change. We analysed the legal environment of police and public prosecution and formulated the proposals for the measures necessary to free these institutions from political influence.
The quality of the legislation is a strong factor determining the results of the actions and the possibilities to protect the public interest. Therefore, we started to systematically monitor the legislation changes; we prepare the comments of the draft legislation and address the public with the calls to support our comments. This way of participation in creation of legislation proved to be very efficient. For example, we have collected more than 8 000 signatures for our comments of the draft amendment to the law on the free access to information. We have also prepared the comments of the environmental legislation (construction law, law on environmental impact assessment, law on integrated prevention and pollution control), law on free access to information and laws regulating the judiciary and the public prosecution.
VIA IURIS lawyers continue to provide legal assistance in the area of public interest law. In strategic litigation, we seek to reach not only solution in the specific case, but also to achieve the systemic change. We find in important to protect the rights of citizens from the formalistic decision-making and restrictive interpretation of the law. We try to make the citizen rights not only a matter of the constitution and the legislation, but also a principle of everyday practice of the courts and other state institutions.
(Records of crystals from another source follow)
Entry from Materials Project: a relaxed Mg15Bi crystal (PBE-GGA).

Cell: 6.413 6.413 10.528 Å, 90.00 90.00 120.00°
Element x y z (fractional)
Mg 0.000 0.000 0.750
Mg 0.000 0.000 0.250
Mg 0.166 0.834 0.000
Mg 0.668 0.834 0.000
Mg 0.498 0.502 0.253
Mg 0.667 0.333 0.500
Mg 0.498 0.996 0.253
Mg 0.498 0.502 0.747
Mg 0.167 0.833 0.500
Mg 0.167 0.333 0.500
Mg 0.667 0.833 0.500
Mg 0.498 0.996 0.747
Mg 0.166 0.332 0.000
Mg 0.004 0.502 0.747
Mg 0.004 0.502 0.253
Bi 0.667 0.333 0.000

Computed properties:
For the total energy, the calculation gives -1.755 eV/atom. As for the energy relative to the elements: -1 kJ/mol of atoms. The calculation puts the volume at 375 Å³ per cell.

* * * * *

## La5Mn7CoPb3O24 (PBE with a Hubbard U)

Data for a relaxed La5Mn7CoPb3O24 crystal.

```
La5Mn7CoPb3O24
1.0
5.5143 0.0000 0.0000
-0.1040 7.9542 0.0000
-0.0013 -0.0122 11.1246
O La Mn Pb Co
24 5 7 3 1
direct
0.7331 0.0365 0.3873 O
0.2213 0.0317 0.3644 O
0.4980 0.2564 0.2208 O
0.7748 0.4794 0.8643 O
0.5015 0.2492 0.7209 O
0.2755 0.4591 0.3866 O
0.7276 0.5156 0.1150 O
0.7185 0.0296 0.8901 O
0.2808 0.4714 0.8918 O
0.7874 0.9817 0.1403 O
0.2107 0.5194 0.1467 O
0.7261 0.5233 0.6121 O
0.5020 0.7412 0.2715 O
0.9984 0.2494 0.5200 O
0.9994 0.7516 0.4675 O
0.2760 0.9766 0.6129 O
0.2186 0.5314 0.6384 O
0.7778 0.4673 0.3602 O
0.7805 0.9690 0.6403 O
0.2628 0.9859 0.1149 O
0.0008 0.2492 0.0270 O
0.9994 0.7513 0.9740 O
0.4993 0.7510 0.7734 O
0.2258 0.0232 0.8621 O
0.5006 0.2481 0.0010 La
0.0018 0.2477 0.2500 La
0.9977 0.7541 0.2478 La
0.0004 0.7502 0.7502 La
0.5013 0.2475 0.4999 La
0.4999 0.4998 0.7500 Mn
0.0011 0.4996 0.0000 Mn
0.9990 0.0013 0.4995 Mn
0.0000 0.5011 0.5001 Mn
0.4991 0.4997 0.2501 Mn
0.0017 0.9995 0.0003 Mn
0.5001 0.0001 0.7502 Mn
0.5000 0.7506 0.4988 Pb
0.5017 0.7497 0.0004 Pb
0.9995 0.2512 0.7493 Pb
0.5001 0.9995 0.2499 Co
```

Results
ΔE_f   -2459 meV per atom

---

## GaFeO3 (PBE with a Hubbard U)

Data for a relaxed GaFeO3 crystal.

```
GaFeO3
1.0
5.1646 0.0000 0.0000
0.0105 8.8598 0.0000
0.0187 0.0060 9.5317
O Fe Ga
24 8 8
direct
0.6538 0.6702 0.6711 O
0.1569 0.1583 0.6977 O
0.3467 0.3302 0.1721 O
0.1549 0.4977 0.7015 O
0.4847 0.8320 0.9385 O
0.9844 0.6688 0.9397 O
0.3440 0.9981 0.2029 O
0.8462 0.8394 0.1966 O
0.8454 0.1685 0.1700 O
0.1538 0.8307 0.6731 O
0.9863 0.9892 0.4323 O
0.3460 0.6611 0.1965 O
0.5129 0.4891 0.9318 O
0.4859 0.5122 0.4314 O
0.8440 0.5021 0.2030 O
0.5252 0.8235 0.4224 O
0.0250 0.6786 0.4238 O
0.5156 0.1696 0.4399 O
0.0151 0.3305 0.4402 O
0.6478 0.9979 0.7031 O
0.4738 0.1775 0.9241 O
0.9787 0.3257 0.9254 O
0.6523 0.3411 0.6964 O
0.0228 0.0079 0.9308 O
0.3101 0.6532 0.5832 Fe
0.1756 0.4694 0.2978 Fe
0.6755 0.0304 0.2982 Fe
0.8236 0.5309 0.7976 Fe
0.8121 0.8482 0.5828 Fe
0.8124 0.1604 0.8073 Fe
0.1911 0.1516 0.0828 Fe
0.6901 0.3484 0.0823 Fe
0.1769 0.1526 0.5000 Ga
0.1857 0.8391 0.3060 Ga
0.6853 0.6614 0.3060 Ga
0.3230 0.9663 0.7968 Ga
0.6753 0.3482 0.4991 Ga
0.8244 0.8469 0.9989 Ga
0.3131 0.3393 0.8065 Ga
0.3236 0.6536 0.9988 Ga
```

Results
The most important cases, in which the lawyers of VIA IURIS assisted, include the landfill in Pezinok, the cases of the highway construction, gold mining in Podpolanie, assistance to Greenpeace Slovakia in the case of construction of the 3rd and 4th block of the nuclear power plant in Mochovce, numerous cases of access to information, several lawsuits related to construction of waste incinerators, small hydroelectric power plants and activities in protected natural areas.
Since 2008, we organize the White Crow Award in cooperation with an NGO Fair-play Alliance. This project awards the people, who defend the truth, justice and public interest and who, by their specific actions, have proven their civic courage and were able to suppress their personal interest in the favour of the public good, values and principles, although they were threatened, wronged or denounced.
Our mission is still not finished, and so we keep going.